Brief:
Next, transcribe all of the lines below without additions.

Data:
........
Here is a relaxed Ce3Zn22 crystal from Materials Project. Energies are from GGA-PBE.

Values from the calculation:
The total magnetization is 0.12 μB per formula unit.

Cell lengths 12.331, 12.331, 12.331 Å; angles 137.71, 137.71, 61.34 degrees
Fractional coordinates of all 50 atoms:
Ce1 0.125 0.875 0.250
Ce2 0.254 0.504 0.750
Ce3 0.496 0.746 0.750
Ce4 0.504 0.254 0.250
Ce5 0.746 0.496 0.250
Ce6 0.875 0.125 0.750
Zn1 0.000 0.000 0.000
Zn2 0.000 0.000 0.500
Zn3 0.000 0.500 0.000
Zn4 0.043 0.319 0.239
Zn5 0.043 0.803 0.724
Zn6 0.117 0.220 0.602
Zn7 0.117 0.515 0.898
Zn8 0.139 0.737 0.402
Zn9 0.151 0.623 0.527
Zn10 0.165 0.263 0.902
Zn11 0.197 0.420 0.239
Zn12 0.197 0.957 0.776
Zn13 0.220 0.117 0.102
Zn14 0.263 0.165 0.402
Zn15 0.263 0.861 0.098
Zn16 0.319 0.043 0.739
Zn17 0.319 0.580 0.276
Zn18 0.377 0.404 0.527
Zn19 0.377 0.849 0.973
Zn20 0.404 0.377 0.027
Zn21 0.420 0.197 0.739
Zn22 0.420 0.681 0.224
Zn23 0.485 0.883 0.602
Zn24 0.500 0.000 0.500
Zn25 0.515 0.117 0.398
Zn26 0.580 0.319 0.776
Zn27 0.580 0.803 0.261
Zn28 0.596 0.623 0.973
Zn29 0.623 0.151 0.027
Zn30 0.623 0.596 0.473
Zn31 0.681 0.420 0.724
Zn32 0.681 0.957 0.261
Zn33 0.737 0.139 0.902
Zn34 0.737 0.835 0.598
Zn35 0.780 0.883 0.898
Zn36 0.803 0.043 0.224
Zn37 0.803 0.580 0.761
Zn38 0.835 0.737 0.098
Zn39 0.849 0.377 0.473
Zn40 0.861 0.263 0.598
Zn41 0.883 0.485 0.102
Zn42 0.883 0.780 0.398
Zn43 0.957 0.197 0.276
Zn44 0.957 0.681 0.761

=====

Here is a relaxed SrSi2Ag2 crystal from Materials Project. Energies are from GGA-PBE.

Cell lengths 4.419, 4.419, 10.570 Å; angles 90.00, 90.00, 90.00 degrees
Fractional coordinates of all 10 atoms:
Sr1 0.000 0.000 0.000
Sr2 0.500 0.500 0.500
Si1 0.000 0.000 0.389
Si2 0.000 0.000 0.611
Si3 0.500 0.500 0.111
Si4 0.500 0.500 0.889
Ag1 0.000 0.500 0.250
Ag2 0.000 0.500 0.750
Ag3 0.500 0.000 0.250
Ag4 0.500 0.000 0.750

=====

Here is a relaxed Ba2SmGaTe5 crystal from Materials Project. Energies are from GGA-PBE.

Values from the calculation:
The total magnetization is 0.00 μB per formula unit.

Cell lengths 7.905, 9.398, 10.234 Å; angles 103.45, 102.83, 107.38 degrees
Fractional coordinates of all 18 atoms:
Ba1 0.139 0.481 0.293
Ba2 0.147 0.986 0.289
Ba3 0.853 0.014 0.711
Ba4 0.861 0.519 0.707
Sm1 0.499 0.234 0.998
Sm2 0.501 0.766 0.002
Ga1 0.309 0.374 0.688
Ga2 0.691 0.626 0.312
Te1 0.016 0.759 0.509
Te2 0.195 0.907 0.941
Te3 0.204 0.408 0.929
Te4 0.486 0.175 0.678
Te5 0.486 0.658 0.681
Te6 0.514 0.342 0.319
Te7 0.514 0.825 0.322
Te8 0.796 0.592 0.071
Te9 0.805 0.093 0.059
Te10 0.984 0.241 0.491

=====
........

Worked solution:
Here is a relaxed Ce3Zn22 crystal from Materials Project. Energies are from GGA-PBE.

Values from the calculation:
The total magnetization is 0.12 μB per formula unit.

Cell lengths 12.331, 12.331, 12.331 Å; angles 137.71, 137.71, 61.34 degrees
Fractional coordinates of all 50 atoms:
Ce1 0.125 0.875 0.250
Ce2 0.254 0.504 0.750
Ce3 0.496 0.746 0.750
Ce4 0.504 0.254 0.250
Ce5 0.746 0.496 0.250
Ce6 0.875 0.125 0.750
Zn1 0.000 0.000 0.000
Zn2 0.000 0.000 0.500
Zn3 0.000 0.500 0.000
Zn4 0.043 0.319 0.239
Zn5 0.043 0.803 0.724
Zn6 0.117 0.220 0.602
Zn7 0.117 0.515 0.898
Zn8 0.139 0.737 0.402
Zn9 0.151 0.623 0.527
Zn10 0.165 0.263 0.902
Zn11 0.197 0.420 0.239
Zn12 0.197 0.957 0.776
Zn13 0.220 0.117 0.102
Zn14 0.263 0.165 0.402
Zn15 0.263 0.861 0.098
Zn16 0.319 0.043 0.739
Zn17 0.319 0.580 0.276
Zn18 0.377 0.404 0.527
Zn19 0.377 0.849 0.973
Zn20 0.404 0.377 0.027
Zn21 0.420 0.197 0.739
Zn22 0.420 0.681 0.224
Zn23 0.485 0.883 0.602
Zn24 0.500 0.000 0.500
Zn25 0.515 0.117 0.398
Zn26 0.580 0.319 0.776
Zn27 0.580 0.803 0.261
Zn28 0.596 0.623 0.973
Zn29 0.623 0.151 0.027
Zn30 0.623 0.596 0.473
Zn31 0.681 0.420 0.724
Zn32 0.681 0.957 0.261
Zn33 0.737 0.139 0.902
Zn34 0.737 0.835 0.598
Zn35 0.780 0.883 0.898
Zn36 0.803 0.043 0.224
Zn37 0.803 0.580 0.761
Zn38 0.835 0.737 0.098
Zn39 0.849 0.377 0.473
Zn40 0.861 0.263 0.598
Zn41 0.883 0.485 0.102
Zn42 0.883 0.780 0.398
Zn43 0.957 0.197 0.276
Zn44 0.957 0.681 0.761

=====

Here is a relaxed SrSi2Ag2 crystal from Materials Project. Energies are from GGA-PBE.

Cell lengths 4.419, 4.419, 10.570 Å; angles 90.00, 90.00, 90.00 degrees
Fractional coordinates of all 10 atoms:
Sr1 0.000 0.000 0.000
Sr2 0.500 0.500 0.500
Si1 0.000 0.000 0.389
Si2 0.000 0.000 0.611
Si3 0.500 0.500 0.111
Si4 0.500 0.500 0.889
Ag1 0.000 0.500 0.250
Ag2 0.000 0.500 0.750
Ag3 0.500 0.000 0.250
Ag4 0.500 0.000 0.750

=====

Here is a relaxed Ba2SmGaTe5 crystal from Materials Project. Energies are from GGA-PBE.

Values from the calculation:
The total magnetization is 0.00 μB per formula unit.

Cell lengths 7.905, 9.398, 10.234 Å; angles 103.45, 102.83, 107.38 degrees
Fractional coordinates of all 18 atoms:
Ba1 0.139 0.481 0.293
Ba2 0.147 0.986 0.289
Ba3 0.853 0.014 0.711
Ba4 0.861 0.519 0.707
Sm1 0.499 0.234 0.998
Sm2 0.501 0.766 0.002
Ga1 0.309 0.374 0.688
Ga2 0.691 0.626 0.312
Te1 0.016 0.759 0.509
Te2 0.195 0.907 0.941
Te3 0.204 0.408 0.929
Te4 0.486 0.175 0.678
Te5 0.486 0.658 0.681
Te6 0.514 0.342 0.319
Te7 0.514 0.825 0.322
Te8 0.796 0.592 0.071
Te9 0.805 0.093 0.059
Te10 0.984 0.241 0.491

=====